Record 1
The following is a DFT calculation (PBE+U) of a relaxed Ba14U2Fe4S25O crystal.

- Formation enthalpy at 0 K: -1.88 eV/atom
- Mass density: 4.50 g cm⁻³
- Corrected total energy (MP2020 scheme): -6.05 eV/atom

Cell: 16.1873 16.1873 9.6884 Å, 90.00 90.00 90.00°
Last column: nearest neighbours and their distance in Å.
Fractional coordinates of all 92 atoms:
Ba1 0.7880 0.9889 0.7562  8 S 3.18-3.55
Ba2 0.0113 0.7812 0.2473  8 S 3.14-3.49
Ba3 0.0000 0.5000 0.7823  10 S 3.29-3.58, 2 Fe 3.61
Fe1 0.1031 0.3968 0.5003  4 S 2.27-2.40
S1 0.1862 0.6865 0.7968  1 Fe 2.27
S2 0.8952 0.8787 0.0135  1 U 2.60
Ba4 0.2120 0.0111 0.7562  8 S 3.18-3.55
S3 0.1341 0.5419 0.5004  1 S 2.11
S4 0.5030 0.1570 0.9985  1 Fe 2.28
Ba5 0.5110 0.7183 0.2452  8 S 3.14-3.48
Ba6 0.7972 0.7025 0.0007  8 S 3.09-3.32
S5 0.8659 0.4581 0.5004  1 S 2.11
S6 0.1175 0.8902 0.4924  1 U 2.61
S7 0.3657 0.0420 0.4996  1 S 2.11
O1 0.5000 0.5000 0.2478  2 U 2.16
Ba7 0.7025 0.2028 0.0007  8 S 3.09-3.32
S8 0.6214 0.6050 0.0074  1 U 2.60
S9 0.8476 0.6523 0.2964  1 Fe 2.27
S10 0.3135 0.1862 0.7968  1 Fe 2.27
Fe2 0.3637 0.1364 0.9996  4 S 2.27-2.28
S11 0.6865 0.8138 0.7968  1 Fe 2.27
S12 0.3786 0.3950 0.0074  1 U 2.60
Ba8 0.4891 0.2878 0.7540  8 S 3.18-3.53
S13 0.1048 0.1213 0.0135  1 U 2.60
S14 0.9580 0.3657 0.4996  1 S 2.11
Fe3 0.8636 0.3637 0.9996  4 S 2.27-2.28
Fe4 0.1364 0.6363 0.9996  4 S 2.27-2.28
U1 0.0000 0.0000 0.4746  1 O 2.13
Ba9 0.2028 0.2975 0.0007  8 S 3.09-3.32
O2 0.0000 0.0000 0.2542  2 U 2.13-2.19
Ba10 0.2188 0.0113 0.2473  8 S 3.14-3.49
S15 0.4970 0.8430 0.9985  1 Fe 2.28
Ba11 0.2817 0.5110 0.2452  8 S 3.14-3.48
S16 0.0420 0.6343 0.4996  1 S 2.11
S17 0.0000 0.0000 0.7517  2 U 2.68
U2 0.0000 0.0000 0.0283  1 O 2.19
S18 0.8138 0.3135 0.7968  1 Fe 2.27
Ba12 0.2378 0.7379 0.4992  6 S 3.11-3.19
S19 0.6343 0.9580 0.4996  1 S 2.11
S20 0.8473 0.6530 0.7037  1 Fe 2.27
S21 0.3823 0.3899 0.4867  1 U 2.61
Fe5 0.3968 0.8969 0.5003  4 S 2.27-2.40
S22 0.0029 0.3431 0.9994  1 Fe 2.28
U3 0.5000 0.5000 0.0246  1 O 2.16
S23 0.4581 0.1341 0.5004  1 S 2.11
S24 0.6530 0.1527 0.7037  1 Fe 2.27
Ba13 0.5000 0.0000 0.7823  10 S 3.29-3.58, 2 Fe 3.61
Ba14 0.7122 0.4891 0.7540  8 S 3.18-3.53
S25 0.1527 0.3470 0.7037  1 Fe 2.27
S26 0.8825 0.1098 0.4924  1 U 2.61
Fe6 0.8969 0.6032 0.5003  4 S 2.27-2.40
S27 0.3899 0.6177 0.4867  1 U 2.61
U4 0.5000 0.5000 0.4711  1 O 2.16
S28 0.8141 0.3144 0.2028  1 Fe 2.27
Ba15 0.0111 0.7880 0.7562  8 S 3.18-3.55
Ba16 0.5109 0.7122 0.7540  8 S 3.18-3.53
S29 0.3144 0.1859 0.2028  1 Fe 2.27
S30 0.1859 0.6856 0.2028  1 Fe 2.27
S31 0.1524 0.3477 0.2964  1 Fe 2.27
S32 0.5000 0.5000 0.7475  2 U 2.68
S33 0.6050 0.3786 0.0074  1 U 2.60
S34 0.6569 0.0029 0.9994  1 Fe 2.28
S35 0.6177 0.6101 0.4867  1 U 2.61
Ba17 0.5000 0.0000 0.2176  10 S 3.30-3.57, 2 Fe 3.62
S36 0.1570 0.4970 0.9985  1 Fe 2.28
S37 0.5419 0.8659 0.5004  1 S 2.11
Ba18 0.7379 0.7622 0.4992  6 S 3.11-3.19
S38 0.8430 0.5030 0.9985  1 Fe 2.28
Fe7 0.6363 0.8636 0.9996  4 S 2.27-2.28
Ba19 0.2621 0.2378 0.4992  6 S 3.11-3.19
Ba20 0.4890 0.2817 0.2452  8 S 3.14-3.48
Ba21 0.7183 0.4890 0.2452  8 S 3.14-3.48
Fe8 0.6032 0.1031 0.5003  4 S 2.27-2.40
S39 0.8787 0.1048 0.0135  1 U 2.60
Ba22 0.9887 0.2188 0.2473  8 S 3.14-3.49
S40 0.6523 0.1524 0.2964  1 Fe 2.27
Ba23 0.9889 0.2120 0.7562  8 S 3.18-3.55
S41 0.6856 0.8141 0.2028  1 Fe 2.27
Ba24 0.7812 0.9887 0.2473  8 S 3.14-3.49
S42 0.3431 0.9971 0.9994  1 Fe 2.28
S43 0.1098 0.1175 0.4924  1 U 2.61
S44 0.9971 0.6569 0.9994  1 Fe 2.28
Ba25 0.2975 0.7972 0.0007  8 S 3.09-3.32
S45 0.1213 0.8952 0.0135  1 U 2.60
S46 0.3470 0.8473 0.7037  1 Fe 2.27
Ba26 0.2878 0.5109 0.7540  8 S 3.18-3.53
S47 0.8902 0.8825 0.4924  1 U 2.61
Ba27 0.7622 0.2621 0.4992  6 S 3.11-3.19
S48 0.3477 0.8476 0.2964  1 Fe 2.27
Ba28 0.0000 0.5000 0.2176  10 S 3.30-3.57, 2 Fe 3.62
S49 0.6101 0.3823 0.4867  1 U 2.61
S50 0.3950 0.6214 0.0074  1 U 2.60

Record 2
The following is a DFT calculation (PBE+U) of a relaxed BaFe2Se4O12 crystal.

- Formation enthalpy at 0 K: -1.67 eV/atom
It remains to print only the last part of the material further above, starting with the line that has "0.3657 0.0420".
S7 0.3657 0.0420 0.4996  1 S 2.11
O1 0.5000 0.5000 0.2478  2 U 2.16
Ba7 0.7025 0.2028 0.0007  8 S 3.09-3.32
S8 0.6214 0.6050 0.0074  1 U 2.60
S9 0.8476 0.6523 0.2964  1 Fe 2.27
S10 0.3135 0.1862 0.7968  1 Fe 2.27
Fe2 0.3637 0.1364 0.9996  4 S 2.27-2.28
S11 0.6865 0.8138 0.7968  1 Fe 2.27
S12 0.3786 0.3950 0.0074  1 U 2.60
Ba8 0.4891 0.2878 0.7540  8 S 3.18-3.53
S13 0.1048 0.1213 0.0135  1 U 2.60
S14 0.9580 0.3657 0.4996  1 S 2.11
Fe3 0.8636 0.3637 0.9996  4 S 2.27-2.28
Fe4 0.1364 0.6363 0.9996  4 S 2.27-2.28
U1 0.0000 0.0000 0.4746  1 O 2.13
Ba9 0.2028 0.2975 0.0007  8 S 3.09-3.32
O2 0.0000 0.0000 0.2542  2 U 2.13-2.19
Ba10 0.2188 0.0113 0.2473  8 S 3.14-3.49
S15 0.4970 0.8430 0.9985  1 Fe 2.28
Ba11 0.2817 0.5110 0.2452  8 S 3.14-3.48
S16 0.0420 0.6343 0.4996  1 S 2.11
S17 0.0000 0.0000 0.7517  2 U 2.68
U2 0.0000 0.0000 0.0283  1 O 2.19
S18 0.8138 0.3135 0.7968  1 Fe 2.27
Ba12 0.2378 0.7379 0.4992  6 S 3.11-3.19
S19 0.6343 0.9580 0.4996  1 S 2.11
S20 0.8473 0.6530 0.7037  1 Fe 2.27
S21 0.3823 0.3899 0.4867  1 U 2.61
Fe5 0.3968 0.8969 0.5003  4 S 2.27-2.40
S22 0.0029 0.3431 0.9994  1 Fe 2.28
U3 0.5000 0.5000 0.0246  1 O 2.16
S23 0.4581 0.1341 0.5004  1 S 2.11
S24 0.6530 0.1527 0.7037  1 Fe 2.27
Ba13 0.5000 0.0000 0.7823  10 S 3.29-3.58, 2 Fe 3.61
Ba14 0.7122 0.4891 0.7540  8 S 3.18-3.53
S25 0.1527 0.3470 0.7037  1 Fe 2.27
S26 0.8825 0.1098 0.4924  1 U 2.61
Fe6 0.8969 0.6032 0.5003  4 S 2.27-2.40
S27 0.3899 0.6177 0.4867  1 U 2.61
U4 0.5000 0.5000 0.4711  1 O 2.16
S28 0.8141 0.3144 0.2028  1 Fe 2.27
Ba15 0.0111 0.7880 0.7562  8 S 3.18-3.55
Ba16 0.5109 0.7122 0.7540  8 S 3.18-3.53
S29 0.3144 0.1859 0.2028  1 Fe 2.27
S30 0.1859 0.6856 0.2028  1 Fe 2.27
S31 0.1524 0.3477 0.2964  1 Fe 2.27
S32 0.5000 0.5000 0.7475  2 U 2.68
S33 0.6050 0.3786 0.0074  1 U 2.60
S34 0.6569 0.0029 0.9994  1 Fe 2.28
S35 0.6177 0.6101 0.4867  1 U 2.61
Ba17 0.5000 0.0000 0.2176  10 S 3.30-3.57, 2 Fe 3.62
S36 0.1570 0.4970 0.9985  1 Fe 2.28
S37 0.5419 0.8659 0.5004  1 S 2.11
Ba18 0.7379 0.7622 0.4992  6 S 3.11-3.19
S38 0.8430 0.5030 0.9985  1 Fe 2.28
Fe7 0.6363 0.8636 0.9996  4 S 2.27-2.28
Ba19 0.2621 0.2378 0.4992  6 S 3.11-3.19
Ba20 0.4890 0.2817 0.2452  8 S 3.14-3.48
Ba21 0.7183 0.4890 0.2452  8 S 3.14-3.48
Fe8 0.6032 0.1031 0.5003  4 S 2.27-2.40
S39 0.8787 0.1048 0.0135  1 U 2.60
Ba22 0.9887 0.2188 0.2473  8 S 3.14-3.49
S40 0.6523 0.1524 0.2964  1 Fe 2.27
Ba23 0.9889 0.2120 0.7562  8 S 3.18-3.55
S41 0.6856 0.8141 0.2028  1 Fe 2.27
Ba24 0.7812 0.9887 0.2473  8 S 3.14-3.49
S42 0.3431 0.9971 0.9994  1 Fe 2.28
S43 0.1098 0.1175 0.4924  1 U 2.61
S44 0.9971 0.6569 0.9994  1 Fe 2.28
Ba25 0.2975 0.7972 0.0007  8 S 3.09-3.32
S45 0.1213 0.8952 0.0135  1 U 2.60
S46 0.3470 0.8473 0.7037  1 Fe 2.27
Ba26 0.2878 0.5109 0.7540  8 S 3.18-3.53
S47 0.8902 0.8825 0.4924  1 U 2.61
Ba27 0.7622 0.2621 0.4992  6 S 3.11-3.19
S48 0.3477 0.8476 0.2964  1 Fe 2.27
Ba28 0.0000 0.5000 0.2176  10 S 3.30-3.57, 2 Fe 3.62
S49 0.6101 0.3823 0.4867  1 U 2.61
S50 0.3950 0.6214 0.0074  1 U 2.60

Record 2
The following is a DFT calculation (PBE+U) of a relaxed BaFe2Se4O12 crystal.

- Formation enthalpy at 0 K: -1.67 eV/atom